The reader should repeat the whole of the listing underneath without altering anything.

a:
This record from the Open Molecules 2025 dataset describes a gas-phase ion, C9H16N3 (charge +1). The level of theory is the ωB97M-V functional and the def2-TZVPD basis.

Element x y z (Å)
N (-1.13464, 1.73103, 1.90710)
C (-1.90448, 0.99292, 1.06731)
N (-1.22368, 0.79405, -0.50459)
C (-2.00580, -0.12403, -1.30892)
C (-1.84835, -1.49795, -0.80699)
C (-0.75763, -2.04414, -0.32714)
C (0.46220, -1.34415, -0.18859)
C (0.14712, 0.46534, -0.58672)
N (1.08166, 1.34517, -0.25964)
C (2.46200, 0.85242, -0.41907)
C (2.64958, -0.46588, 0.46866)
C (1.93141, -1.69644, -0.16292)
H (-0.62598, 1.31407, 2.62991)
H (-1.57123, 2.58295, 2.22330)
H (-2.86986, 1.48024, 0.76567)
H (-2.09576, -0.01600, 1.26385)
H (-1.27370, 1.76005, -0.83004)
H (-1.56216, -0.21723, -2.32944)
H (-2.99064, 0.26606, -1.31087)
H (-2.80295, -1.98881, -1.01267)
H (-0.97568, -3.09155, 0.01513)
H (0.83231, 2.24266, 0.03287)
H (3.03821, 1.63855, -0.11655)
H (2.72266, 0.66138, -1.52669)
H (2.43007, -0.37561, 1.52217)
H (3.69554, -0.76855, 0.45529)
H (2.06193, -2.46197, 0.52092)
H (2.12785, -2.03458, -1.18131)

LUMO energy (spin up / spin down): -3.0 / -3.5 eV
Kohn-Sham gap (spin up / spin down): 7.6 / 6.7 eV
charge: +1

***

b:
This record from the Open Molecules 2025 dataset describes 2 unconnected molecules or ions with the total composition C9H16N3. The level of theory is the ωB97M-V functional and the def2-TZVPD basis.

Element x y z (Å)
C (-1.50870, 0.75383, 2.54566)
C (0.69596, -0.11296, 2.48140)
N (-0.31804, 0.26635, 3.31908)
N (0.55149, -1.08383, 1.60158)
N (1.85602, 0.52507, 2.51815)
H (-0.25134, 0.13008, 4.30590)
H (-0.31036, -1.57173, 1.46953)
H (1.26731, -1.38963, 0.95961)
H (2.14662, 1.16238, 3.24371)
H (2.53653, 0.37512, 1.78970)
H (-1.53736, 0.28982, 1.56834)
H (-1.23562, 1.78060, 2.25557)
H (-2.42018, 0.66087, 3.12534)
C (1.23821, 1.68458, -2.26457)
C (0.35086, 0.47074, -2.13769)
C (-1.02646, 0.57131, -2.32694)
C (0.88641, -0.76933, -1.74723)
C (-1.86760, -0.53935, -2.23451)
C (0.05417, -1.87924, -1.66845)
C (-1.31948, -1.77114, -1.89333)
H (2.26652, 1.30563, -2.18983)
H (1.17165, 2.41872, -1.45782)
H (-1.40875, 1.51507, -2.71080)
H (1.91850, -1.06305, -1.60899)
H (-2.93552, -0.38343, -2.34585)
H (0.38637, -2.90778, -1.58725)
H (-2.04460, -2.57755, -1.81946)
H (0.85740, 2.13886, -3.19084)

LUMO energy: -3.1 eV
Kohn-Sham gap: 8.9 eV

a:
This record from the Open Molecules 2025 dataset describes a gas-phase ion, C9H16N3 (charge +1). The level of theory is the ωB97M-V functional and the def2-TZVPD basis.

Element x y z (Å)
N (-1.13464, 1.73103, 1.90710)
C (-1.90448, 0.99292, 1.06731)
N (-1.22368, 0.79405, -0.50459)
C (-2.00580, -0.12403, -1.30892)
C (-1.84835, -1.49795, -0.80699)
C (-0.75763, -2.04414, -0.32714)
C (0.46220, -1.34415, -0.18859)
C (0.14712, 0.46534, -0.58672)
N (1.08166, 1.34517, -0.25964)
C (2.46200, 0.85242, -0.41907)
C (2.64958, -0.46588, 0.46866)
C (1.93141, -1.69644, -0.16292)
H (-0.62598, 1.31407, 2.62991)
H (-1.57123, 2.58295, 2.22330)
H (-2.86986, 1.48024, 0.76567)
H (-2.09576, -0.01600, 1.26385)
H (-1.27370, 1.76005, -0.83004)
H (-1.56216, -0.21723, -2.32944)
H (-2.99064, 0.26606, -1.31087)
H (-2.80295, -1.98881, -1.01267)
H (-0.97568, -3.09155, 0.01513)
H (0.83231, 2.24266, 0.03287)
H (3.03821, 1.63855, -0.11655)
H (2.72266, 0.66138, -1.52669)
H (2.43007, -0.37561, 1.52217)
H (3.69554, -0.76855, 0.45529)
H (2.06193, -2.46197, 0.52092)
H (2.12785, -2.03458, -1.18131)

LUMO energy (spin up / spin down): -3.0 / -3.5 eV
Kohn-Sham gap (spin up / spin down): 7.6 / 6.7 eV
charge: +1

***

b:
This record from the Open Molecules 2025 dataset describes 2 unconnected molecules or ions with the total composition C9H16N3. The level of theory is the ωB97M-V functional and the def2-TZVPD basis.

Element x y z (Å)
C (-1.50870, 0.75383, 2.54566)
C (0.69596, -0.11296, 2.48140)
N (-0.31804, 0.26635, 3.31908)
N (0.55149, -1.08383, 1.60158)
N (1.85602, 0.52507, 2.51815)
H (-0.25134, 0.13008, 4.30590)
H (-0.31036, -1.57173, 1.46953)
H (1.26731, -1.38963, 0.95961)
H (2.14662, 1.16238, 3.24371)
H (2.53653, 0.37512, 1.78970)
H (-1.53736, 0.28982, 1.56834)
H (-1.23562, 1.78060, 2.25557)
H (-2.42018, 0.66087, 3.12534)
C (1.23821, 1.68458, -2.26457)
C (0.35086, 0.47074, -2.13769)
C (-1.02646, 0.57131, -2.32694)
C (0.88641, -0.76933, -1.74723)
C (-1.86760, -0.53935, -2.23451)
C (0.05417, -1.87924, -1.66845)
C (-1.31948, -1.77114, -1.89333)
H (2.26652, 1.30563, -2.18983)
H (1.17165, 2.41872, -1.45782)
H (-1.40875, 1.51507, -2.71080)
H (1.91850, -1.06305, -1.60899)
H (-2.93552, -0.38343, -2.34585)
H (0.38637, -2.90778, -1.58725)
H (-2.04460, -2.57755, -1.81946)
H (0.85740, 2.13886, -3.19084)

LUMO energy: -3.1 eV
Kohn-Sham gap: 8.9 eV